Thursday, September 3, 2009
03 September 2009, Thursday

Who are The Kyndred?
The Kyndred want to know who they are as well. Are they really descendants of the Darkyn – immortal vampires? What they do know is that they are marked, each with their own tattoo of a certain animal. Like these animals, every one of the Kyndred all have their own separate unique ability, and it is not always a gift, such as what Minerva had.
After many years of intensely searching, it is believed that as young children (as young as still being in the uterus) their DNA and genes have been played havoc and experimented with to try and produce other worldly capabilities. Once they were finished with, they were then discarded into catholic orphanages around the world.
It is not until they grow older and experience a nearly fatal event do these experiment’s true implications manifest and impact upon their lives, in such unexpected ways. It is their choice to use these gifts or to turn away from it. Little do they know that there is someone out there that knows about them and covets what they have.
Phoenix Inc is one of the top personnel agencies in the south that screens employees for interested employers, but it is not via their own capabilities that make them so. Jessa Bellamy is the owner of Phoenix Inc and she is normal. She is not kyndred. In fact, she thinks you’ve got the wrong person. She does not know what you are talking about!
In denial about her gift and who she is yet she uses her gift to see a person’s deepest darkest secret to bring her agency to the top of its field. On personal skin contact, she is taken to the shadowlight realm and in a beat of a second she is able to see a persons most awful deeds before being plunged back into the sunlight. It is a curse! But one she has been able to successfully use to screen employees for employers and make her personnel agency a successful one.
However, can she any longer deny her gift when she becomes wanted for the death of numerous murders and is embroiled in a scheme to capture the kyndred – her friends?
Come with me or you will die
Due to her gift and its effect on contact, she fears any form intimacy until she meets…
Matthias. He is “the boss”. The leader of the small secret hidden group that “takes” the kindred. And this time, he has captured this little princess.
Things get no better when she is sarcastically welcomed into the Freak Protection Program. What is going on? Can Jessa trust Matthias?
This is an intriguing and suspenseful first book of the Kyndred series. Shadowlight is filled with unexpected twists and turns that totally caught me by unawares. If you love X-Men with a splash of JD.Robb then this is it. Since this is the first book, on first reading, it is a bit hard to keep track of what is going on and follow the story, but once the concept was fully understood, the story makes much more sense and I read it with a better understanding. On my second reading, I was less frustrated and instead was able to enjoy the book much more. As with most sci-fi/fantasy books, the first novel is the premise whereby the author has to try to make clear their "world" and Viehl does that beautifully in Shadowlight. Jessa Bellamy is quite a realistic heroine and her hero is the perfect man who balances out her edges. Drew and Rowan, the secondary characters here, were fantastic and I do hope to hear Drew’s story some day - Rowan’s story: Dreamveil, available in June 2010, is the next book in the new Kyndred series and I gotta tell you from the sneak peek – it is hot:
• Data records that have nothing to do with the article:
=====
This record from OMol25 describes a molecular structure, C5H7NO. The level of theory is ωB97M-V/def2-TZVPD.

Last column: Mulliken charge in e.
Cartesian coordinates (Å):
H  -0.101  -1.851  0.151  0.2050
H  1.593  1.595  -0.890  0.2901
H  0.485  0.377  1.662  0.3722
C  0.437  0.346  0.570  -0.1074
N  0.391  -0.992  -0.069  -0.1322
C  -0.763  0.466  -0.278  -0.2410
C  1.327  -0.619  -1.067  0.3964
H  -2.044  -0.385  1.370  0.3756
H  2.633  0.574  0.172  0.2734
C  -2.059  0.154  0.409  -1.1065
H  -2.779  -0.326  -0.262  0.3207
O  1.689  -1.175  -2.056  -0.5358
C  1.656  0.674  -0.313  -0.4293
H  -2.464  1.162  0.599  0.3189

Cartesian forces, eV/Å:
H 0.06 0.24 -0.14
H -0.03 -0.12 0.07
H -0.07 0.06 -0.19
C -0.06 0.15 0.01
N -0.18 -0.40 -0.16
C -0.17 0.18 0.30
C 0.30 -0.15 -0.26
H 0.12 0.05 -0.05
H -0.17 -0.02 0.03
C -0.07 -0.05 -0.03
H 0.15 0.08 0.09
O -0.10 0.05 0.40
C 0.15 0.09 -0.08
H 0.05 -0.17 0.02

LUMO energy in eV: 0.89
Kohn-Sham gap in Ha: 0.3334
Relative energy (zero: lowest compared OMol25 entry of this formula, charge and spin) in kJ/mol: 400.9
E_tot in hartree: -324.57177
Total charge: 0


This record from OMol25 describes a single C6H5N3O2 molecule in a non-equilibrium geometry. The level of theory is ωB97M-V/def2-TZVPD.

Last column: Mulliken charge in e.
Cartesian coordinates (Å):
H  0.951  -2.492  0.200  0.2273
C  -1.813  -1.310  -0.131  -0.5042
C  -0.507  -0.911  0.007  0.3928
C  -0.230  0.457  0.015  0.3641
N  -2.591  0.983  0.078  -0.6113
N  0.748  -1.531  0.030  -0.0557
N  1.128  0.628  0.289  0.1025
H  -1.069  2.373  0.115  0.4108
C  -1.316  1.343  0.083  -0.3225
H  2.644  1.477  -0.275  0.3323
O  2.996  -0.721  -0.079  -0.6728
H  -3.799  -0.710  -0.085  0.3744
O  1.749  1.845  -0.233  -0.3748
C  -2.808  -0.331  -0.107  -0.2434
H  -2.143  -2.378  -0.249  0.2925
C  1.750  -0.551  0.134  0.2881

Cartesian forces, eV/Å:
H 0.08 -0.44 -0.08
C -1.00 -1.50 -0.20
C 1.32 0.53 -0.60
C -2.01 0.11 1.17
N 0.15 -0.96 -0.76
N -0.01 0.88 0.54
N -0.82 2.66 -1.08
H -0.12 1.00 0.22
C 1.28 -0.22 -0.13
H 0.72 0.35 -0.27
O -3.67 0.74 1.12
H -0.94 0.19 -0.21
O -0.64 -2.26 1.03
C 1.09 -0.01 0.86
H 0.62 1.20 0.22
C 3.95 -2.30 -1.82

LUMO energy in eV: 0.53
Kohn-Sham gap in Ha: 0.3549
Relative energy (zero: lowest compared OMol25 entry of this formula, charge and spin) in kJ/mol: 111.4
E_tot in hartree: -546.34578
SMILES string: O=c1[nH]c2ccncc2n1O
Total charge: 0


This record from OMol25 describes a molecular structure, C41H52BN5O6PbSe in a non-equilibrium geometry. The level of theory is ωB97M-V/def2-TZVPD.

Last column: Mulliken charge in e.
Cartesian coordinates (Å):
H  3.519  2.768  0.416  -0.2163
H  -3.638  5.795  0.060  0.4716
C  -5.760  0.012  1.099  2.0897
C  -6.425  1.079  1.976  -2.1974
C  -5.461  -1.213  1.975  -1.5859
C  5.945  1.097  -0.797  -0.2720
H  3.105  -4.278  -1.648  0.3924
O  3.525  1.287  -3.400  -0.7499
C  1.750  4.359  -2.844  -0.7371
H  -2.877  -3.026  -0.579  0.7357
H  -6.378  -1.555  2.450  0.5132
=====
“I must remove it.”
As soon as he put his hand on her leg, Rowan stiffened. “I don’t think so.”
He glanced up. “You do not like to be touched.”
“Oh, sometimes I like it fine.” She stared at his mouth before lifting her eyes to his, and he saw a glimmer of heat and longing. “It’s the stranger part I have trouble with.”
“So do I.” More than he could ever tell her. “Perhaps just for tonight, we should think we are friends.”
“Friends.” She seemed amused by this, but leaned back on her elbows. “All right, Dansant. Do whatever you want.”